# To do
Your job: start at the top of the calculation results below and retype each line, ending with the one that has "11.4209 Å;".

# File
1.
The following is a GGA-PBE calculation of a relaxed structure of Ba2HfS2O2, from Alexandria via LeMat-Bulk.

Cell lengths 4.3338, 4.3338, 8.5440 Å; angles 104.69, 104.69, 90.00 degrees
Last column: nearest neighbours and their distance in Å.
Atoms (fractional coordinates):
O1 0.0000 0.5000 0.0000  2 Hf 2.17
Ba1 0.6325 0.6325 0.2650  4 O 3.03, 5 S 3.10-3.28
O2 0.5000 0.0000 0.0000  2 Hf 2.17
Hf1 0.0000 0.0000 0.0000  4 O 2.17
S1 0.1622 0.1622 0.3243  1 Hf 2.59
S2 0.8378 0.8378 0.6757  1 Hf 2.59
Ba2 0.3675 0.3675 0.7350  4 O 3.03, 5 S 3.10-3.28

## Properties
calculated total energy: -7.19 eV/atom
symmetry: I4/mmm, No. 139
formation energy without anion corrections: -2.622 eV/atom

2.
The following is a GGA-PBE calculation of a relaxed structure of Pm6ThSc2, from Alexandria via LeMat-Bulk.

Cell lengths 9.4937, 6.2316, 9.7473 Å; angles 87.90, 90.00, 90.00 degrees
Last column: nearest neighbours and their distance in Å.
Atoms (fractional coordinates):
Sc1 0.5631 0.9932 0.8546  1 Sc 3.08, 4 Pm 3.11-3.42, 1 Th 3.39
Pm1 0.1438 0.3428 0.0140  7 Pm 3.37-3.68, 1 Th 3.52, 1 Sc 3.68
Pm2 0.7135 0.6353 0.6561  2 Sc 3.33-3.42, 6 Pm 3.50-3.72
Pm3 0.2135 0.8647 0.8439  2 Sc 3.33-3.42, 6 Pm 3.50-3.72
Pm4 0.8562 0.6572 0.9860  7 Pm 3.37-3.68, 1 Th 3.52, 1 Sc 3.68
Pm5 0.6293 0.6498 0.3047  2 Sc 3.11-3.23, 1 Th 3.38
Sc2 0.0631 0.5068 0.6454  1 Sc 3.08, 4 Pm 3.11-3.42, 1 Th 3.39
Sc3 0.9369 0.4932 0.3546  1 Sc 3.08, 4 Pm 3.11-3.42, 1 Th 3.39
Th1 0.5000 0.5000 0.0000  4 Pm 3.38-3.52, 4 Sc 3.39-3.56
Pm6 0.8707 0.1498 0.8047  2 Sc 3.11-3.23, 1 Th 3.38
Pm7 0.2865 0.3647 0.3439  2 Sc 3.33-3.42, 6 Pm 3.50-3.72
Pm8 0.3562 0.8428 0.5140  7 Pm 3.37-3.68, 1 Th 3.52, 1 Sc 3.68
Pm9 0.6438 0.1572 0.4860  7 Pm 3.37-3.68, 1 Th 3.52, 1 Sc 3.68
Pm10 0.1293 0.8502 0.1953  2 Sc 3.11-3.23, 1 Th 3.38
Th2 0.0000 0.0000 0.5000  4 Pm 3.38-3.52, 4 Sc 3.39-3.56
Pm11 0.7865 0.1353 0.1561  2 Sc 3.33-3.42, 6 Pm 3.50-3.72
Pm12 0.3707 0.3502 0.6953  2 Sc 3.11-3.23, 1 Th 3.38
Sc4 0.4369 0.0068 0.1454  1 Sc 3.08, 4 Pm 3.11-3.42, 1 Th 3.39

## Properties
calculated total energy: -5.25 eV/atom
symmetry: P2_1/c, No. 14
calculated formation energy: 0.14 eV per atom

3.
The following is a GGA-PBE calculation of a relaxed structure of Sc3Sn2Rh7, from Alexandria via LeMat-Bulk.

Cell lengths 4.3333, 4.3815, 11.4209 Å; angles 101.06, 90.00, 90.00 degrees
Last column: nearest neighbours and their distance in Å.
Atoms (fractional coordinates):
Rh1 0.5000 0.9227 0.8454  2 Sn 2.72, 2 Rh 2.77, 4 Sc 2.79-2.83
Sn1 0.0000 0.8493 0.6987  7 Rh 2.67-2.93
Rh2 0.5000 0.0773 0.1546  2 Sn 2.72, 2 Rh 2.77, 4 Sc 2.79-2.83
Sc1 0.5000 0.6573 0.3146  6 Rh 2.57-2.83
Rh3 0.0000 0.4216 0.8431  2 Sn 2.72, 4 Sc 2.79-2.80, 2 Rh 2.81
Rh4 0.0000 0.2812 0.5623  2 Sc 2.57, 2 Rh 2.60, 2 Sn 2.67
Sc2 0.5000 0.3427 0.6854  6 Rh 2.57-2.83
Sn2 0.0000 0.1507 0.3013  7 Rh 2.67-2.93
Rh5 0.0000 0.7188 0.4377  2 Sc 2.57, 2 Rh 2.60, 2 Sn 2.67
Sc3 0.5000 0.5000 0.0000  12 Rh 2.79-3.08
Rh6 0.0000 0.5784 0.1569  2 Sn 2.72, 4 Sc 2.79-2.80, 2 Rh 2.81
Rh7 0.0000 0.0000 0.0000  8 Rh 2.77-2.81, 4 Sc 3.08

## Properties
calculated total energy: -7.16 eV/atom
symmetry: Cmmm, No. 65
calculated formation energy: -0.62 eV per atom

4.
The following is a GGA-PBE calculation of a relaxed structure of Nb2PbBr, from Alexandria via LeMat-Bulk.

Cell lengths 4.2429, 4.2429, 10.4929 Å; angles 78.34, 78.34, 90.00 degrees
Last column: nearest neighbours and their distance in Å.
Atoms (fractional coordinates):
Nb1 0.8750 0.8558 0.7500  4 Nb 2.89-3.12, 2 Br 2.90, 2 Pb 2.96
Pb1 0.0000 0.0000 0.0000  4 Nb 2.96, 4 Br 3.00
Br1 0.5000 0.5000 0.0000  4 Nb 2.90, 4 Pb 3.00
Br2 0.2500 0.7500 0.5000  4 Nb 2.90, 4 Pb 3.00
Nb2 0.6058 0.1250 0.2500  4 Nb 2.89-3.12, 2 Br 2.90, 2 Pb 2.96
Nb3 0.1442 0.6250 0.2500  4 Nb 2.89-3.12, 2 Br 2.90, 2 Pb 2.96
Pb2 0.7500 0.2500 0.5000  4 Nb 2.96, 4 Br 3.00
Nb4 0.3750 0.3942 0.7500  4 Nb 2.89-3.12, 2 Br 2.90, 2 Pb 2.96

## Properties
calculated total energy: -5.63 eV/atom
symmetry: I-42d, No. 122

# Outcome
1.
The following is a GGA-PBE calculation of a relaxed structure of Ba2HfS2O2, from Alexandria via LeMat-Bulk.

Cell lengths 4.3338, 4.3338, 8.5440 Å; angles 104.69, 104.69, 90.00 degrees
Last column: nearest neighbours and their distance in Å.
Atoms (fractional coordinates):
O1 0.0000 0.5000 0.0000  2 Hf 2.17
Ba1 0.6325 0.6325 0.2650  4 O 3.03, 5 S 3.10-3.28
O2 0.5000 0.0000 0.0000  2 Hf 2.17
Hf1 0.0000 0.0000 0.0000  4 O 2.17
S1 0.1622 0.1622 0.3243  1 Hf 2.59
S2 0.8378 0.8378 0.6757  1 Hf 2.59
Ba2 0.3675 0.3675 0.7350  4 O 3.03, 5 S 3.10-3.28

## Properties
calculated total energy: -7.19 eV/atom
symmetry: I4/mmm, No. 139
formation energy without anion corrections: -2.622 eV/atom

2.
The following is a GGA-PBE calculation of a relaxed structure of Pm6ThSc2, from Alexandria via LeMat-Bulk.

Cell lengths 9.4937, 6.2316, 9.7473 Å; angles 87.90, 90.00, 90.00 degrees
Last column: nearest neighbours and their distance in Å.
Atoms (fractional coordinates):
Sc1 0.5631 0.9932 0.8546  1 Sc 3.08, 4 Pm 3.11-3.42, 1 Th 3.39
Pm1 0.1438 0.3428 0.0140  7 Pm 3.37-3.68, 1 Th 3.52, 1 Sc 3.68
Pm2 0.7135 0.6353 0.6561  2 Sc 3.33-3.42, 6 Pm 3.50-3.72
Pm3 0.2135 0.8647 0.8439  2 Sc 3.33-3.42, 6 Pm 3.50-3.72
Pm4 0.8562 0.6572 0.9860  7 Pm 3.37-3.68, 1 Th 3.52, 1 Sc 3.68
Pm5 0.6293 0.6498 0.3047  2 Sc 3.11-3.23, 1 Th 3.38
Sc2 0.0631 0.5068 0.6454  1 Sc 3.08, 4 Pm 3.11-3.42, 1 Th 3.39
Sc3 0.9369 0.4932 0.3546  1 Sc 3.08, 4 Pm 3.11-3.42, 1 Th 3.39
Th1 0.5000 0.5000 0.0000  4 Pm 3.38-3.52, 4 Sc 3.39-3.56
Pm6 0.8707 0.1498 0.8047  2 Sc 3.11-3.23, 1 Th 3.38
Pm7 0.2865 0.3647 0.3439  2 Sc 3.33-3.42, 6 Pm 3.50-3.72
Pm8 0.3562 0.8428 0.5140  7 Pm 3.37-3.68, 1 Th 3.52, 1 Sc 3.68
Pm9 0.6438 0.1572 0.4860  7 Pm 3.37-3.68, 1 Th 3.52, 1 Sc 3.68
Pm10 0.1293 0.8502 0.1953  2 Sc 3.11-3.23, 1 Th 3.38
Th2 0.0000 0.0000 0.5000  4 Pm 3.38-3.52, 4 Sc 3.39-3.56
Pm11 0.7865 0.1353 0.1561  2 Sc 3.33-3.42, 6 Pm 3.50-3.72
Pm12 0.3707 0.3502 0.6953  2 Sc 3.11-3.23, 1 Th 3.38
Sc4 0.4369 0.0068 0.1454  1 Sc 3.08, 4 Pm 3.11-3.42, 1 Th 3.39

## Properties
calculated total energy: -5.25 eV/atom
symmetry: P2_1/c, No. 14
calculated formation energy: 0.14 eV per atom

3.
The following is a GGA-PBE calculation of a relaxed structure of Sc3Sn2Rh7, from Alexandria via LeMat-Bulk.

Cell lengths 4.3333, 4.3815, 11.4209 Å; angles 101.06, 90.00, 90.00 degrees